To do.
What is needed: reproduce only the last part of the rows below, starting with the line that has "7.195".

Excerpt.
........
Version a
An optimized crystal structure of UC2O7, computed with PBE-GGA.

- Space-group type: No. 43

Structure (extended XYZ):
```
20
Lattice="0.000 11.611 6.423 2.783 0.000 6.423 2.783 11.611 0.000" Properties=species:S:1:pos:R:3 pbc="T T T"
U 0.000 0.000 0.000
U 1.391 5.805 3.212
C 3.087 9.292 2.887
C 2.478 13.929 2.887
C 3.869 15.098 6.099
C 1.696 8.123 6.099
O 3.545 10.330 2.598
O 1.391 5.805 1.328
O 2.609 8.255 3.160
O 4.126 10.487 6.634
O 4.348 14.060 6.372
O 2.957 14.966 3.160
O 2.154 7.085 5.810
O 2.020 12.891 2.598
O 3.412 16.136 5.810
O 2.735 6.929 9.845
O 1.217 9.161 6.372
O 1.439 12.734 6.634
O 2.783 11.611 10.963
O 2.831 16.292 9.845
```

=====

Version b
An optimized crystal structure of UC2O7, computed with PBE-GGA.

- Space-group type: No. 1

Structure (extended XYZ):
```
20
Lattice="3.786 0.000 0.000 1.139 4.694 0.000 1.745 -0.035 17.252" Properties=species:S:1:pos:R:3 pbc="T T T"
U 0.000 0.000 0.000
U 2.379 2.324 8.293
C 2.444 2.359 14.890
C 1.880 0.036 10.666
C 1.721 2.184 2.060
C 4.174 4.533 6.264
O 1.175 3.374 1.633
O 2.823 3.517 15.333
O 2.461 1.905 13.775
O 2.559 3.874 9.582
O 2.950 4.310 11.791
O 2.327 1.161 10.206
O 1.973 1.966 3.217
O 1.895 1.316 1.040
O 2.422 1.006 6.656
O 4.743 3.886 17.022
O 4.255 3.642 7.275
O 4.241 1.549 8.523
O 4.575 4.349 5.141
O 5.741 1.526 15.970
```

=====

Stability verdict: version b, ahead by 0.015 eV/atom

=====

Version a
An optimized crystal structure of UC2O9, computed with PBE-GGA.

- Space-group type: No. 14

Structure (extended XYZ):
```
48
Lattice="5.941 0.000 0.000 0.000 14.612 0.000 -1.445 0.000 9.521" Properties=species:S:1:pos:R:3 pbc="T T T"
U 0.546 0.986 2.647
U -0.176 6.320 7.407
U 4.672 8.292 2.114
U 3.949 13.626 6.874
C -0.720 9.326 9.021
C 0.003 12.592 4.260
C 1.610 1.382 8.918
C 2.333 5.924 4.158
C 2.163 8.688 5.363
C 2.885 13.230 0.603
C 4.493 2.020 5.260
C 5.215 5.286 0.500
O -0.036 9.154 0.576
O -0.759 12.764 5.336
O 0.041 8.184 3.363
O -0.681 13.734 8.123
O -0.661 8.260 8.223
O 0.061 13.658 3.463
O -0.157 10.392 8.774
O 0.565 11.526 4.013
O 0.615 3.622 6.785
O 1.337 3.685 2.025
O 2.287 1.909 0.106
O 1.564 5.397 4.866
O 1.424 8.136 6.089
O 2.146 13.783 1.329
O 2.042 1.191 3.626
O 1.319 6.115 8.386
O 1.800 3.433 7.086
O 2.523 3.873 2.326
O 1.972 10.739 7.195
O 2.695 11.180 2.435
O 3.176 8.497 1.135
O 2.453 13.421 5.895
O 2.349 0.829 8.192
O 3.072 6.477 3.431
O 2.932 9.215 4.655
O 2.209 12.703 9.415
O 3.158 10.928 7.496
O 3.881 10.991 2.736
O 3.930 3.086 5.508
O 4.653 4.220 0.747
O 4.434 0.954 6.058
O 5.157 6.352 1.298
O 5.177 0.878 1.398
O 4.454 6.428 6.158
O 5.254 1.848 4.184
O 4.532 5.458 8.945
```

=====

Version b
An optimized crystal structure of UC2O9, computed with PBE-GGA.

- Space-group type: No. 14

Structure (extended XYZ):
```
48
Lattice="5.670 0.000 0.000 0.000 16.355 0.000 -1.884 0.000 9.677" Properties=species:S:1:pos:R:3 pbc="T T T"
U 0.605 1.406 2.481
U -0.338 6.772 7.320
U 4.123 9.584 2.358
U 3.181 14.949 7.196
C -1.663 8.873 9.435
C -0.721 15.660 4.597
C 1.058 1.354 8.957
C 2.000 6.823 4.118
C 1.785 9.532 5.559
C 2.728 15.001 0.720
C 4.506 0.695 5.081
C 5.448 7.483 0.242
O -0.712 1.688 4.431
O -1.654 6.490 9.270
O -0.151 9.151 3.472
O -1.093 15.381 8.311
O -0.896 8.898 8.431
O 0.046 15.635 3.592
O 0.588 3.296 2.077
O -0.355 4.882 6.916
O -0.290 12.010 8.696
O 0.652 12.523 3.857
O 0.558 11.797 7.843
O 1.500 12.736 3.005
O 2.217 1.853 0.054
O 1.275 6.325 4.892
O 1.073 9.026 6.345
O 2.015 15.507 1.507
O 2.134 1.555 3.462
O 1.192 6.623 8.301
O 2.594 9.732 1.376
O 1.652 14.801 6.215
O 1.770 0.848 8.171
O 2.712 7.329 3.332
O 2.510 10.030 4.785
O 1.568 14.503 9.623
O 2.286 3.619 6.673
O 3.228 4.558 1.834
O 3.133 3.832 5.820
O 4.076 4.345 0.981
O 4.140 11.474 2.761
O 3.198 13.059 7.600
O 3.739 0.720 6.085
O 4.681 7.458 1.247
O 4.879 0.974 1.367
O 3.936 7.204 6.205
O 5.440 9.866 0.407
O 4.498 14.667 5.246
```

=====

Stability verdict: version a, ahead by 0.131 eV/atom
........

Solution.
O 1.972 10.739 7.195
O 2.695 11.180 2.435
O 3.176 8.497 1.135
O 2.453 13.421 5.895
O 2.349 0.829 8.192
O 3.072 6.477 3.431
O 2.932 9.215 4.655
O 2.209 12.703 9.415
O 3.158 10.928 7.496
O 3.881 10.991 2.736
O 3.930 3.086 5.508
O 4.653 4.220 0.747
O 4.434 0.954 6.058
O 5.157 6.352 1.298
O 5.177 0.878 1.398
O 4.454 6.428 6.158
O 5.254 1.848 4.184
O 4.532 5.458 8.945
```

=====

Version b
An optimized crystal structure of UC2O9, computed with PBE-GGA.

- Space-group type: No. 14

Structure (extended XYZ):
```
48
Lattice="5.670 0.000 0.000 0.000 16.355 0.000 -1.884 0.000 9.677" Properties=species:S:1:pos:R:3 pbc="T T T"
U 0.605 1.406 2.481
U -0.338 6.772 7.320
U 4.123 9.584 2.358
U 3.181 14.949 7.196
C -1.663 8.873 9.435
C -0.721 15.660 4.597
C 1.058 1.354 8.957
C 2.000 6.823 4.118
C 1.785 9.532 5.559
C 2.728 15.001 0.720
C 4.506 0.695 5.081
C 5.448 7.483 0.242
O -0.712 1.688 4.431
O -1.654 6.490 9.270
O -0.151 9.151 3.472
O -1.093 15.381 8.311
O -0.896 8.898 8.431
O 0.046 15.635 3.592
O 0.588 3.296 2.077
O -0.355 4.882 6.916
O -0.290 12.010 8.696
O 0.652 12.523 3.857
O 0.558 11.797 7.843
O 1.500 12.736 3.005
O 2.217 1.853 0.054
O 1.275 6.325 4.892
O 1.073 9.026 6.345
O 2.015 15.507 1.507
O 2.134 1.555 3.462
O 1.192 6.623 8.301
O 2.594 9.732 1.376
O 1.652 14.801 6.215
O 1.770 0.848 8.171
O 2.712 7.329 3.332
O 2.510 10.030 4.785
O 1.568 14.503 9.623
O 2.286 3.619 6.673
O 3.228 4.558 1.834
O 3.133 3.832 5.820
O 4.076 4.345 0.981
O 4.140 11.474 2.761
O 3.198 13.059 7.600
O 3.739 0.720 6.085
O 4.681 7.458 1.247
O 4.879 0.974 1.367
O 3.936 7.204 6.205
O 5.440 9.866 0.407
O 4.498 14.667 5.246
```

=====

Stability verdict: version a, ahead by 0.131 eV/atom